-- Listing --
'''
1.
For PmAlNi2, DFT lattice parameters and positions (GGA-PBE) gives the simulated X-ray diffraction stick pattern in this record (λ = 1.5418 Å (Cu Kα)).

The 6 most intense peaks (10 to 90 degrees two-theta), by angle:
(1 1 0), 25.38°, d = 3.509 Å, rel. 89; (0 2 1), 32.48°, d = 2.757 Å, rel. 33; (0 1 2), 36.89°, d = 2.436 Å, rel. 55; (1 2 1), 39.16°, d = 2.301 Å, rel. 100; (1 0 2), 40.54°, d = 2.225 Å, rel. 57; (2 0 0), 43.34°, d = 2.088 Å, rel. 37

Structure:
```
data_PmAlNi2
_cell_length_a 4.1757
_cell_length_b 6.4740
_cell_length_c 5.2597
_cell_angle_alpha 90.00
_cell_angle_beta 90.00
_cell_angle_gamma 90.00
_space_group_name_H-M_alt 'P m m n'
_space_group_IT_number 59
loop_
_space_group_symop_operation_xyz
'x,y,z'
'-x,-y,-z'
'-x+1/2,-y+1/2,z'
'x+1/2,y+1/2,-z'
'x+1/2,-y,-z'
'-x+1/2,y,z'
'-x,y+1/2,-z'
'x,-y+1/2,z'
loop_
_atom_site_label
_atom_site_fract_x
_atom_site_fract_y
_atom_site_fract_z
Pm1 0.2500 0.2500 0.1504
Al1 0.2500 0.7500 0.3535
Ni1 0.2500 0.0541 0.6348
```

=====

2.
For Sc3PdS, DFT lattice parameters and positions (GGA-PBE) gives the simulated X-ray diffraction stick pattern in this record (λ = 1.5418 Å (Cu Kα)).

The 6 most intense peaks (10 to 90 degrees two-theta), by angle:
(0 2 2), 23.95°, d = 3.715 Å, rel. 50; (0 2 3), 31.93°, d = 2.803 Å, rel. 37; (1 3 0), 34.01°, d = 2.636 Å, rel. 35; (1 3 1), 35.33°, d = 2.541 Å, rel. 100; (1 1 3), 38.79°, d = 2.322 Å, rel. 69; (0 6 2), 50.06°, d = 1.822 Å, rel. 37

Structure:
```
data_Sc3PdS
_cell_length_a 3.5434
_cell_length_b 11.8320
_cell_length_c 9.5477
_cell_angle_alpha 90.00
_cell_angle_beta 90.00
_cell_angle_gamma 90.00
_space_group_name_H-M_alt 'C m c m'
_space_group_IT_number 63
_space_group_name_Hall '-C 2c 2'
loop_
_atom_site_label
_atom_site_fract_x
_atom_site_fract_y
_atom_site_fract_z
Sc1 0.0000 0.0715 0.2500
Sc2 0.0000 0.3542 0.0731
Pd1 0.0000 0.2531 0.7500
S1 0.0000 0.0000 0.0000
```

=====

3.
For OsC3I2O3, DFT lattice parameters and positions (GGA-PBE) gives the simulated X-ray diffraction stick pattern in this record (λ = 1.5418 Å (Cu Kα)).

The 6 most intense peaks (10 to 90 degrees two-theta), by angle:
(1 1 0), 14.29°, d = 6.199 Å, rel. 100; (1 1 -2), 21.84°, d = 4.070 Å, rel. 32; (0 2 2), 30.23°, d = 2.956 Å, rel. 77; (4 0 -1), 32.58°, d = 2.748 Å, rel. 35; (0 2 3), 37.36°, d = 2.407 Å, rel. 25; (4 2 1), 45.28°, d = 2.003 Å, rel. 25

Structure:
```
data_OsC3I2O3
_cell_length_a 10.9950
_cell_length_b 7.6831
_cell_length_c 9.7014
_cell_angle_alpha 90.00
_cell_angle_beta 107.39
_cell_angle_gamma 90.00
_space_group_name_H-M_alt 'C 1 2/m 1'
_space_group_IT_number 12
_space_group_name_Hall '-C 2y'
loop_
_atom_site_label
_atom_site_fract_x
_atom_site_fract_y
_atom_site_fract_z
Os1 0.0674 0.0000 0.2213
C1 0.0952 0.1832 0.3584
C2 0.2390 0.0000 0.2149
I1 0.0000 0.2441 0.0000
I2 0.1816 0.0000 0.7686
O1 0.1093 0.2996 0.4374
O2 0.1551 0.5000 0.7827
```


For MgGe2WO6, DFT lattice parameters and positions (PBE+U) gives the simulated PXRD pattern in this record (Cu Kα, 1.54184 Å).

Cell: 8.5183 8.5183 5.0061 Å, 95.38 95.38 64.22°
Element x y z (fractional)
1 Mg 0.1135 0.8865 0.7500
2 Mg 0.8865 0.1135 0.2500
3 Ge 0.0535 0.2786 0.7273
4 Ge 0.2786 0.0535 0.2273
5 Ge 0.7214 0.9465 0.7727
6 Ge 0.9465 0.7214 0.2727
7 W 0.3986 0.6014 0.2500
8 W 0.6014 0.3986 0.7500
9 O 0.0571 0.1377 0.0054
10 O 0.1377 0.0571 0.5054
11 O 0.1826 0.6855 0.4226
12 O 0.3145 0.8174 0.0774
13 O 0.3655 0.4790 0.9282
14 O 0.4790 0.3655 0.4282
15 O 0.5210 0.6345 0.5718
16 O 0.6345 0.5210 0.0718
17 O 0.6855 0.1826 0.9226
18 O 0.8174 0.3145 0.5774
19 O 0.8623 0.9429 0.4946
20 O 0.9429 0.8623 0.9946

Main lines, in order of falling intensity (10 to 90 degrees two-theta):
2θ/deg  I (rel.)
21.01  100
12.34  95
28.57  60
30.29  38
21.87  38
35.28  30
20.71  29
38.11  28
'''
-- Work order --
Next, give back all of the listing further up with every line break kept.
-- Result --
1.
For PmAlNi2, DFT lattice parameters and positions (GGA-PBE) gives the simulated X-ray diffraction stick pattern in this record (λ = 1.5418 Å (Cu Kα)).

The 6 most intense peaks (10 to 90 degrees two-theta), by angle:
(1 1 0), 25.38°, d = 3.509 Å, rel. 89; (0 2 1), 32.48°, d = 2.757 Å, rel. 33; (0 1 2), 36.89°, d = 2.436 Å, rel. 55; (1 2 1), 39.16°, d = 2.301 Å, rel. 100; (1 0 2), 40.54°, d = 2.225 Å, rel. 57; (2 0 0), 43.34°, d = 2.088 Å, rel. 37

Structure:
```
data_PmAlNi2
_cell_length_a 4.1757
_cell_length_b 6.4740
_cell_length_c 5.2597
_cell_angle_alpha 90.00
_cell_angle_beta 90.00
_cell_angle_gamma 90.00
_space_group_name_H-M_alt 'P m m n'
_space_group_IT_number 59
loop_
_space_group_symop_operation_xyz
'x,y,z'
'-x,-y,-z'
'-x+1/2,-y+1/2,z'
'x+1/2,y+1/2,-z'
'x+1/2,-y,-z'
'-x+1/2,y,z'
'-x,y+1/2,-z'
'x,-y+1/2,z'
loop_
_atom_site_label
_atom_site_fract_x
_atom_site_fract_y
_atom_site_fract_z
Pm1 0.2500 0.2500 0.1504
Al1 0.2500 0.7500 0.3535
Ni1 0.2500 0.0541 0.6348
```

=====

2.
For Sc3PdS, DFT lattice parameters and positions (GGA-PBE) gives the simulated X-ray diffraction stick pattern in this record (λ = 1.5418 Å (Cu Kα)).

The 6 most intense peaks (10 to 90 degrees two-theta), by angle:
(0 2 2), 23.95°, d = 3.715 Å, rel. 50; (0 2 3), 31.93°, d = 2.803 Å, rel. 37; (1 3 0), 34.01°, d = 2.636 Å, rel. 35; (1 3 1), 35.33°, d = 2.541 Å, rel. 100; (1 1 3), 38.79°, d = 2.322 Å, rel. 69; (0 6 2), 50.06°, d = 1.822 Å, rel. 37

Structure:
```
data_Sc3PdS
_cell_length_a 3.5434
_cell_length_b 11.8320
_cell_length_c 9.5477
_cell_angle_alpha 90.00
_cell_angle_beta 90.00
_cell_angle_gamma 90.00
_space_group_name_H-M_alt 'C m c m'
_space_group_IT_number 63
_space_group_name_Hall '-C 2c 2'
loop_
_atom_site_label
_atom_site_fract_x
_atom_site_fract_y
_atom_site_fract_z
Sc1 0.0000 0.0715 0.2500
Sc2 0.0000 0.3542 0.0731
Pd1 0.0000 0.2531 0.7500
S1 0.0000 0.0000 0.0000
```

=====

3.
For OsC3I2O3, DFT lattice parameters and positions (GGA-PBE) gives the simulated X-ray diffraction stick pattern in this record (λ = 1.5418 Å (Cu Kα)).

The 6 most intense peaks (10 to 90 degrees two-theta), by angle:
(1 1 0), 14.29°, d = 6.199 Å, rel. 100; (1 1 -2), 21.84°, d = 4.070 Å, rel. 32; (0 2 2), 30.23°, d = 2.956 Å, rel. 77; (4 0 -1), 32.58°, d = 2.748 Å, rel. 35; (0 2 3), 37.36°, d = 2.407 Å, rel. 25; (4 2 1), 45.28°, d = 2.003 Å, rel. 25

Structure:
```
data_OsC3I2O3
_cell_length_a 10.9950
_cell_length_b 7.6831
_cell_length_c 9.7014
_cell_angle_alpha 90.00
_cell_angle_beta 107.39
_cell_angle_gamma 90.00
_space_group_name_H-M_alt 'C 1 2/m 1'
_space_group_IT_number 12
_space_group_name_Hall '-C 2y'
loop_
_atom_site_label
_atom_site_fract_x
_atom_site_fract_y
_atom_site_fract_z
Os1 0.0674 0.0000 0.2213
C1 0.0952 0.1832 0.3584
C2 0.2390 0.0000 0.2149
I1 0.0000 0.2441 0.0000
I2 0.1816 0.0000 0.7686
O1 0.1093 0.2996 0.4374
O2 0.1551 0.5000 0.7827
```


For MgGe2WO6, DFT lattice parameters and positions (PBE+U) gives the simulated PXRD pattern in this record (Cu Kα, 1.54184 Å).

Cell: 8.5183 8.5183 5.0061 Å, 95.38 95.38 64.22°
Element x y z (fractional)
1 Mg 0.1135 0.8865 0.7500
2 Mg 0.8865 0.1135 0.2500
3 Ge 0.0535 0.2786 0.7273
4 Ge 0.2786 0.0535 0.2273
5 Ge 0.7214 0.9465 0.7727
6 Ge 0.9465 0.7214 0.2727
7 W 0.3986 0.6014 0.2500
8 W 0.6014 0.3986 0.7500
9 O 0.0571 0.1377 0.0054
10 O 0.1377 0.0571 0.5054
11 O 0.1826 0.6855 0.4226
12 O 0.3145 0.8174 0.0774
13 O 0.3655 0.4790 0.9282
14 O 0.4790 0.3655 0.4282
15 O 0.5210 0.6345 0.5718
16 O 0.6345 0.5210 0.0718
17 O 0.6855 0.1826 0.9226
18 O 0.8174 0.3145 0.5774
19 O 0.8623 0.9429 0.4946
20 O 0.9429 0.8623 0.9946

Main lines, in order of falling intensity (10 to 90 degrees two-theta):
2θ/deg  I (rel.)
21.01  100
12.34  95
28.57  60
30.29  38
21.87  38
35.28  30
20.71  29
38.11  28